In the few days since my essay on the Internet’s effects on cognition appeared in The Atlantic, I’ve been flooded with emails and blog posts from people saying that my struggles with deep reading and concentration mirror their own experiences. “I found the first couple of pages almost eerie in how well they described my own feelings,” wrote a typical correspondent today. Uber-blogger Andrew Sullivan said in a post a short while ago that my story “strikes close to home.”
I feel an odd mix of emotions. I’m of course gratified to see further evidence confirming my hypothesis, but it’s a melancholy sense of gratification since the hypothesis is (to me, anyway) such an unhappy one. There should be a word to describe the feeling of finding support for one’s gloomy idea.
One vote from me on the issue of cognition and the effects of the net. However, isn’t is possible that with increased information load, speed, and accessibility we can teach our brains to be better without supplanting them with AI? I have noticed some increase of my paper books reading speed. Why can’t this be used as a off-line benefit. Step by step, hour by hour, it is possible to abstain from the NET. Plus, if the brain is as pliable as you say, then with some discipline and effort we WILL be able to get the best of the situation?
I am online since the very early nineties and I was the first publisher in Italy to publish books on Internet. Even though I do meditation and bodywork to balance the prevalence of mental work, I feel how my cognitive modalities change when I am online for longer time. Having a path toward self-awareness helps me in looking on the inner screen while I look at the outer one. After I contributed to spread the Internet culture in my country now I need, through my blogs, to reflect on the impact of technology on our psyche. We know what happens in our bodies regarding food intake but we don’t know the long term impact of the overwhelming information on our minds.
I posted a note about your excellent essay on my blog this morning, and referred to the work of David Levy, who is at the U of Washington School of Information. Levy’s take on the information overload problem (and I’m oversimplifying drastically) is that we have to discipline ourselves to take in less information and make time for reflection. The technology tools that we create help us control information flow only for awhile, but then end up creating even more overload. I can strongly recommend the December 2007 issue of Ethics and Information Technology, which he guest edited under the overall title “Information, silence, and sanctuary.”
You cite McLuhan in the article; I think that some of the points he makes in Understanding Media about “amputation” go a long way to explaining why you struck a nerve. He goes into great (almost deranged and incomprehensible) detail about the emotional and almost physiological reaction we feel when functions previously owned by our central nervous system are externalized as electronic media. I think few other current writers have talked much about some of these side effects of the Google amputation.
Nick why would the hypothesis be an unhappy one? Your melancholic temperament must be overriding your ability to draw back and see the larger picture.
With any and all technological advances, throughout the ages, there are going to be the challenges and benefits for culture and society. You have, with the article, both touched a nerve, I do wonder what nerve might have been touched, and opened up a dialog that can only be of greater interest as more detailed insights regarding the intersect of technology and the human being might be expressed.
The resulting loss of cognition, in your case, might just be the price you have to pay as a result of your involvement with both technology and technological advancement!
Ivo appears to be on the path I would choose to manage cognitive, or any other, technological/personal health situation.
Nick loses a little cognition, we gain prophetic writing. Good trade off?
I think the amputation notion in McLuhan can be applied as well to the Net, even in a broader way. The Net is “a sum of all media” and both an extension and amputation of our overall mental qualities. As the car gave us the possibility to move much farther but at the same time made our legs and cardiocirculatory system weaker, the Net extends our access to information and knowledge but at the same time takes away our capacity for deep reflection and mental silence. On an evolutionary level this could even be a way to go beyond our minds. Every spiritual path affirms that the deeper states of the soul are not found inside the mind and the mind can’t reach them. But one thing is going beyond, another is going… below and become dumb. Recently I read “The Dumbest Generation, How the Digital Age Stupefies Young Americans and Jeopardizes our Future”, by Mark Bauerlein. Even though I think his analysis on the subject is sometimes too journalistic and a bit superficial, the book presents interesting facts about the falling mental skills.
How about this: deep reading of traditional books puts your brain into Beta (meditative) mode while reading off of a computer keeps you in Alpha wave (alert) mode. Unlike a book, a monitor is refreshing at a rate below your perception threshold – you are not conscious of it but your brain at the neurological level is dealing with changes in the visual field occurring at a rate that can interfere with the synaptic firings. It would be interesting to do a comparison between brain waves while reading a book vs. reading the same material on a computer screen. My guess is that the brain of a traditional reader is absorbing information in a more orderly manner while reading from a computer screen for long periods of time is creating chaos at the neurological level.
Linuxguru, I wrote an article about brain waves on the screen and meditation but mostly is speculative material since i haven’t really found many studies on that. Your idea regarding the refreshing rate would be worth investigating.
Can’t help but often put my hands to my face and wipe my eyes as if I’m convinced that I’m also wiping cookies that have squatted in my brain.
Recite my Mantra: Knowledge isn’t wisdom. Or go analog from time to time.
Actually I had a hard time reading your article completely, though I did read it. Not because I had become conditioned to skim by internet browsing habit hence couldn’t finish reading your “longish” article, but because while reading first one or two pages I kept saying to myself, “Yeah but…why is the obvious so hard to see? Turn the damn thing OFF if it bugs you so much!” Well, that exhortation is neither here nor there, however simple the wisdom underlying it is.
Getting straight to the point, I wonder sometimes if the thoughts such as the ones you articulated in the Atlantic piece are a bit naive and deliberately sophisticated, just for the pleasure of it. Perhaps what all you said is experienced mostly by you all folks who opine a lot and make a living by doing it (“a lot” being the keyword here. I too am opining here).
I work in semiconductor field, use internet quite often during my day-to-day work hours and do find it fairly easy keeping the hours under control. Most of the stuff out there is pretty boring actually. Once in a while I browse a few sites, like yours, and whatever spurs my thought, I blog. I do have an opinion about everything but am not in a major rush to blog about it.
From where I stand, I don’t see internet influencing our reading habits to such an extent that you say. Well, if you sit and watch 18 hours of TV over a long weekend you’d experience similar shift, admittedly temporary, in how you view the world, do you not? Why is internet any special? Frankly I think you guys are giving way too credit to Google, it’s not that powerful just because it wants you to believe it is so.
Those who relate to the Atlantic piece should realize that you are now addicted to internet. Addicted. Yes, good old fashioned addiction, like every acquired habit can be, like smoking and drinking. So just shut your computers, go out, smell fresh air and take a few walks, talk to REAL people and for crying out loud live a little…;-)
Way back when I was under the same addiction, I wrote a blogpost which now when I read it again, is a not-so-bad a “counterbalance to the sentimentality” that your Atlantic piece is filled with (article link at the bottom, because I don’t want you to click on it rightaway, I hate that.)
Parthian shot: On a friendly note, read a short 22-page publication by George Steiner called “The Uncommon Reader,” part of the Bennington Chapbooks in Literature series. Similar thoughts, makes a good reading, as Mr. Steiner’s earlier writings always are. An excerpt:
“Current literacies are diffuse and irreverent. It is no longer a natural motion to turn to a book for oracular guidance. We distrust auctoritas – the commanding script or scripture, the core of the authoritarian in classic authorship – precisely because it aspires to immutability. We did not write th book. Even our most intense, penetrative encounter with it is experience at second-hand. This is the crux. The legacy of Romanticism is one of strenuous solipsism, of the development of self out of immediacy. A single credo of vitalist spontaneity leads from Wordsworth’s assertion that ‘one impulse from a vernal wood’ outweighs the dusty sum of libraries to the slogan of radical students at the University of Frankfurt in 1968: ‘let there be no more quotations’. In both cases the polemic is that of the ‘life of life’ against the ‘life of letter’, of the primacy of personal experience against the derivative-ness of even the most deeply-felt of literary emotions. To us, the phrase ‘the book of life’ is a sophistic antinomy or cliche. To Luther, who used it as a decisive point in his version of Revelation and, one suspects, to Chardin’s reader, it was a concrete verity.”
_Attached: quantum chemistry results_
# 1
# C7H9N3O2

A single C7H9N3O2 molecule (wB97M-V/def2-TZVPD, the OMol25 dataset).

SMILES: NC(N)(c1ccccc1)[N+](=O)[O-]
spin multiplicity: 1

Geometry (Å):
N -2.24 0.73 0.25
C -1.33 -0.33 0.49
N -1.92 -1.64 0.15
C 0.06 -0.05 -0.16
C 0.68 1.18 -0.01
C 1.98 1.49 -0.55
C 2.62 0.57 -1.25
C 1.96 -0.63 -1.47
C 0.74 -0.97 -0.90
N -1.08 -0.27 2.01
O -1.44 0.65 2.66
O -0.40 -1.21 2.35
H -2.22 1.48 0.94
H -2.37 1.09 -0.76
H -2.86 -1.92 0.66
H -1.20 -2.30 0.31
H 0.11 2.03 0.47
H 2.20 2.57 -0.47
H 3.54 0.85 -1.78
H 2.65 -1.36 -1.98
H 0.51 -1.96 -0.96

=====

# 2
# C7H9N3O3

A molecular structure, C7H9N3O3 (wB97M-V/def2-TZVPD, the OMol25 dataset).

spin multiplicity: 1

Geometry (Å):
C -1.31 -2.96 1.42
C -1.14 -1.55 1.55
C -0.64 -1.11 0.36
C -0.02 0.61 1.06
C -0.78 -3.24 0.18
C 1.19 1.43 -0.84
C -0.22 2.94 0.51
N -0.63 0.57 2.21
N -0.75 -4.43 -0.52
N 0.44 1.66 0.38
O -0.62 1.43 3.10
O -0.31 -2.14 -0.45
O -1.29 -0.66 2.54
H -1.72 -3.64 2.13
H 1.98 2.18 -0.91
H 1.63 0.44 -0.81
H 0.54 1.51 -1.72
H -0.57 3.05 1.54
H 0.50 3.73 0.30
H -1.07 3.04 -0.18
H -0.82 -5.26 0.05
H -0.03 -4.47 -1.23

=====

# 3
# C7H9N5O2

2 unconnected molecules or ions with the total composition C7H9N5O2 (wB97M-V/def2-TZVPD, the OMol25 dataset).

spin multiplicity: 1

Geometry (Å):
C -1.16 2.87 1.25
C -1.32 1.61 1.52
C -0.58 1.65 -0.57
C -0.24 -1.80 -1.65
C 1.07 -1.16 0.51
C 0.18 -1.82 -0.24
C 2.08 -0.15 0.11
N -0.70 2.90 -0.08
N 0.97 -1.57 1.83
N -0.04 -2.38 1.85
N -0.42 -2.66 0.67
N 0.14 -0.77 -2.45
O -1.04 -2.67 -1.96
O -1.09 0.86 0.41
H -1.44 3.79 1.78
H -1.79 1.07 2.42
H -0.47 3.69 -0.59
H 1.51 0.74 -0.45
H 2.69 -0.68 -0.71
H 2.61 0.06 1.10
H -1.32 -3.10 0.59
H 0.54 0.07 -1.96
H -0.17 -0.55 -3.36

=====

Orbital gap readings, ordered: 9.778 8.127 9.852 eV
Energy above the lowest of the compared OMol25 structures with the same formula, charge and spin readings, ordered: 4.324 7.940 3.955 eV

~~~~~

Entry from the Open Molecules 2025 dataset: 14 unconnected molecules or ions with the total composition C42H98N14O14 at a distorted geometry (wB97M-V/def2-TZVPD).

Last columns: bonded neighbours and bond lengths (Å).
CARTESIAN COORDINATES (ANGSTROEM)
1 C 0.8913 0.1185 -4.6158  O2 1.217, N3 1.338, H6 1.098
2 O -0.1896 0.6770 -4.6304  C1 1.217
3 N 1.3769 -0.5866 -5.6443  C1 1.338, C4 1.445, C5 1.452
4 C 0.8142 -0.6118 -6.9750  N3 1.445, H7 1.086, H8 1.089, H9 1.097
5 C 2.5887 -1.3730 -5.5013  N3 1.452, H10 1.085, H11 1.089, H12 1.100
6 H 1.4961 -0.0055 -3.7079  C1 1.098
7 H 1.5445 -0.3625 -7.7396  C4 1.086
8 H -0.0745 0.0175 -6.9815  C4 1.089
9 H 0.4566 -1.6321 -7.1611  C4 1.097
10 H 2.8467 -1.4790 -4.4524  C5 1.085
11 H 2.4863 -2.3440 -5.9834  C5 1.089
12 H 3.4377 -0.8785 -5.9964  C5 1.100
13 C 1.7769 -3.8624 -2.1401  O14 1.206, N15 1.337, H18 1.102
14 O 2.6448 -3.1847 -2.6319  C13 1.206
15 N 1.7055 -5.1939 -2.2398  C13 1.337, C16 1.434, C17 1.432
16 C 0.5117 -5.8788 -1.8387  N15 1.434, H19 1.093, H20 1.092, H21 1.088
17 C 2.6242 -5.9149 -3.0681  N15 1.432, H22 1.086, H23 1.090, H24 1.086
_The quantum chemistry results stop here_
Link to above-mentioned blogpost:
Regards, Crazyfinger
In a sample of one, I recognise the concept of your article. However, after 15 years as an IT worker, deeply involved with absorbing new technologies on a constant basis, I find that I am adapting my learning processes to a new level that adapts or overcomes your articles premise.
While the effects are real I feel it is ‘mental muscle memory’, and you can adapt your knowledge ingestion process. In my traditional education, all knowledge was to be ingested as permanent, however, in IT much knowledge is transitory or ephemeral.
My method now involves identifying the fundamentals of a technology, and ingesting that as permanent knowledge, but that aspects of that learning, mostly relating to applying that knowledge to problems, is ephemeral. This ephemeral knowledge changes form rapidly, may be used only once, and oftens obsoletes quickly. Therefore a ready access to knowledge is more effective than attempting to retain this.
Many co-workers attempt to gain and hold all knowledge on a given topic, often past its useful date. Adaptation to allow relinquishment of that knowledge, but accessing it at need is a learned skill (and no different from other historical changes).
I find that if I read articles on the web i.e. on a screen, I have a really hard time concentrating – it seems that my mind moves into an attention-deficit mode whenever I’m on a computer.
However, I feel that I have no problems with following sustained arguments in newspapers, books etc. But again, if I read the same newspapers online with the same sort of in-depth articles, I find that I just can’t concentrate…
So there’s that odd dichotomy of being on a device with access to so much information, but being in a mental mode that finds me unable to digest it properly.
As to why this is… perhaps too much choice overwhelms me. Perhaps computer displays are too bright, with not a high enough dpi or refresh rate to make my eyes feel rested. Perhaps it’s a combination of both of these.
But it’s definitely worrying that you and so many people are experiencing similar symptoms…
I was fortunate enough to be a student of Marshall McLuhan at the University of Toronto. He was a great and voracious reader, but I think he was fully aware of the physical effort involved in reading – partaking of the technology of the printed word. He was a quick and witty speaker, but reading for him was always heavy lifting.
He also had a very interesting take on type. I remember him saying once that the tactile poet Gerard Manley Hopkins was “Braille for the poetically blind.”
McLuhan would of course be fascinated by the effects of the internet and especially wireless networking and smart phones. I am sure he would agree with the statement by RIM’s Mike Lazaridis that,
“Applications and devices taking advantage of wireless networks will revolutionize the way people interact. These connected data devices will become the closest thing we have to mental telepathy on a world scale.”
Maybe these devices will give us blind people a kind of Braille for the global village. Maybe they will restore something we have lost, or something we once amputated.
“There should be a word to describe the feeling of finding support for one’s gloomy idea.”
Is it kind of the opposite of Schadenfreude?
Maybe: Konfirmationdunkel.
I can’t but agree and admire the plasticity of your mind. I find it is my being in the same room as a computer that keeps my mind on-line; as son as I step in the living room with a tea, or go in the garden, I’m fine.
Are your findings gloomy? No, it’s (very early) science: the problem is not that humans can’t go beyond a hundred yards in less then 10, 15 seconds — the blessing is that we know why, and how to cure that (internal combustion engine, or a bicycle).
For all the Mac users, I can’t but mention “Freedom”, the surprising Internet-connexion disabler, by the brilliant Fred Stutzman:
(His blog and his research are great too, but it’s not the topic here.)
Is it kind of the opposite of Schadenfreude?
Come to think of it, it kind of is.
Maybe: Konfirmationdunkel.
My German sucks, but I sense you’re on to something.
I completely agree with what you say. I recently sorted all my books into those I’d read and those I either hadn’t started or hadn’t finished. The hadn’t finished pile was huge. It really worried me. I’ve decided to go “offline” for a few months to have a really good crack at the backlog.
Despite this there is something that I really love about the new world of online reading: concision. Books are often the worst examples of needless verbosity. The online world cuts through a lot of this bloat and gets right to the heart of issues.
Have you thought that the reason we struggle to read books now is that it is a broken medium? Perhaps books have been superceded.
“There should be a word to describe the feeling of finding support for one’s gloomy idea.”
Maybe “The Anti-Gay Science?”
I started off writing a comment, but it quickly became so long I turned it into a blog post of my own. Funny how the attention span to read is coming to be in short supply, at the same time that the ability to self-publish has vastly expanded the number of writers…
These comments are all way too long. Skimming the first couple is the best I can do. After all, I’ve got email to check!
There’s been a much longer-term erosion in the functions of memory – going back to the development of the PC. What we’re seeing now is not all attributable to the web – television too has gone short form. I think the underlying problem is not to do with contemplation or meditation but the loss of a role for memory and commemoration – machines do all that for us now. Traditionally our use of communications had a high point (spelling but literature, paint but art, jokes and Shakespeare) which elevated life and made it memorable. Artists, thinkers, writers need to intervene in the web, the PC and the television to re-establish a role for communications that make life memorable.
I’m quite happy rewiring my brain. I wasn’t that overwhelmed with the last one ;)